## Contents
[1]
Below is crystalline Mg2FeNi at its relaxed geometry, with properties calculated at the PBE level.

The structure in CIF format:
```
data_Mg2FeNi
_chemical_formula_sum 'Mg8 Fe4 Ni4'
_symmetry_space_group_name_H-M 'F m -3 m'
_symmetry_Int_Tables_number 225
_symmetry_space_group_name_Hall '-F 4 2 3'
_cell_length_a 6.1930
_cell_length_b 6.1930
_cell_length_c 6.1930
_cell_angle_alpha 90.00
_cell_angle_beta 90.00
_cell_angle_gamma 90.00
loop_
_atom_site_label
_atom_site_fract_x
_atom_site_fract_y
_atom_site_fract_z
Mg1 0.2500 0.2500 0.2500
Fe1 0.0000 0.0000 0.0000
Ni1 0.0000 0.0000 0.5000
```

Summary:
E   -4.181 eV per atom
Density of states at the Fermi level   21.6 states/eV/cell
E_form   0.1774 eV/atom

---

[2]
Below is crystalline Mg2Fe2Ni15 at its relaxed geometry, with properties calculated at the PBE level.

The structure in CIF format:
```
data_Mg2Fe2Ni15
_chemical_formula_sum 'Mg6 Fe6 Ni45'
_symmetry_space_group_name_H-M 'R -3 m'
_symmetry_Int_Tables_number 166
_symmetry_space_group_name_Hall '-R 3 2"'
_cell_length_a 8.1541
_cell_length_b 8.1541
_cell_length_c 12.1120
_cell_angle_alpha 90.00
_cell_angle_beta 90.00
_cell_angle_gamma 120.00
loop_
_atom_site_label
_atom_site_fract_x
_atom_site_fract_y
_atom_site_fract_z
Mg1 0.0000 0.0000 0.1569
Fe1 0.0000 0.0000 0.4042
Ni1 0.0000 0.3032 0.5000
Ni2 0.0000 0.5000 0.0000
Ni3 0.9996 0.4998 0.3458
```

Summary:
E   -5.640 eV per atom
Density of states at the Fermi level   59.2 states/eV/cell
E_form   -0.0170 eV/atom

---

[3]
Below is crystalline Mg2FeNi2 at its relaxed geometry, with properties calculated at the PBE level.

The structure in CIF format:
```
data_Mg2FeNi2
_chemical_formula_sum 'Mg4 Fe2 Ni4'
_symmetry_space_group_name_H-M 'P 4/m b m'
_symmetry_Int_Tables_number 127
_symmetry_space_group_name_Hall '-P 4 2ab'
_cell_length_a 6.0649
_cell_length_b 6.0649
_cell_length_c 4.0165
_cell_angle_alpha 90.00
_cell_angle_beta 90.00
_cell_angle_gamma 90.00
loop_
_atom_site_label
_atom_site_fract_x
_atom_site_fract_y
_atom_site_fract_z
Mg1 0.1744 0.3256 0.0000
Fe1 0.0000 0.0000 0.5000
Ni1 0.1331 0.6331 0.5000
```

Summary:
E   -4.655 eV per atom
Density of states at the Fermi level   8.6 states/eV/cell
E_form   -0.0116 eV/atom

---

[4]
Below is crystalline MgFeNi at its relaxed geometry, with properties calculated at the PBE level.

The structure in CIF format:
```
data_MgFeNi
_chemical_formula_sum 'Mg2 Fe2 Ni2'
_symmetry_space_group_name_H-M 'I 4 m m'
_symmetry_Int_Tables_number 107
_symmetry_space_group_name_Hall 'I 4 -2'
_cell_length_a 2.7644
_cell_length_b 2.7644
_cell_length_c 10.5794
_cell_angle_alpha 90.00
_cell_angle_beta 90.00
_cell_angle_gamma 90.00
loop_
_atom_site_label
_atom_site_fract_x
_atom_site_fract_y
_atom_site_fract_z
Mg1 0.0000 0.0000 0.0000
Fe1 0.0000 0.0000 0.3132
Ni1 0.0000 0.0000 0.6739
```

Summary:
Relative energy among the computed polymorphs   21 meV/atom
E   -5.220 eV per atom
Density of states at the Fermi level   5.8 states/eV/cell
E_form   0.0600 eV/atom

---

[5]
Below is crystalline MgFeNi at its relaxed geometry, with properties calculated at the PBE level.

The structure in CIF format:
```
data_MgFeNi
_chemical_formula_sum 'Mg2 Fe2 Ni2'
_symmetry_space_group_name_H-M 'P m m n'
_symmetry_Int_Tables_number 59
_cell_length_a 2.8719
_cell_length_b 4.0982
_cell_length_c 7.0967
_cell_angle_alpha 90.00
_cell_angle_beta 90.00
_cell_angle_gamma 90.00
loop_
_symmetry_equiv_pos_as_xyz
'x,y,z'
'-x,-y,-z'
'-x+1/2,-y+1/2,z'
'x+1/2,y+1/2,-z'
'x+1/2,-y,-z'
'-x+1/2,y,z'
'-x,y+1/2,-z'
'x,-y+1/2,z'
loop_
_atom_site_label
_atom_site_fract_x
_atom_site_fract_y
_atom_site_fract_z
Mg1 0.2500 0.2500 0.1382
Fe1 0.2500 0.7500 0.5122
Ni1 0.2500 0.2500 0.7550
```

Summary:
Relative energy among the computed polymorphs   0 meV/atom
E   -5.240 eV per atom
Density of states at the Fermi level   4.7 states/eV/cell
E_form   0.0394 eV/atom

---

[6]
Below is crystalline MgFeNi at its relaxed geometry, with properties calculated at the PBE level.

## Brief
Could you quote the lines further up up to the one that holds "_cell_length_a 2.7644", that line included?

## Completed
[1]
Below is crystalline Mg2FeNi at its relaxed geometry, with properties calculated at the PBE level.

The structure in CIF format:
```
data_Mg2FeNi
_chemical_formula_sum 'Mg8 Fe4 Ni4'
_symmetry_space_group_name_H-M 'F m -3 m'
_symmetry_Int_Tables_number 225
_symmetry_space_group_name_Hall '-F 4 2 3'
_cell_length_a 6.1930
_cell_length_b 6.1930
_cell_length_c 6.1930
_cell_angle_alpha 90.00
_cell_angle_beta 90.00
_cell_angle_gamma 90.00
loop_
_atom_site_label
_atom_site_fract_x
_atom_site_fract_y
_atom_site_fract_z
Mg1 0.2500 0.2500 0.2500
Fe1 0.0000 0.0000 0.0000
Ni1 0.0000 0.0000 0.5000
```

Summary:
E   -4.181 eV per atom
Density of states at the Fermi level   21.6 states/eV/cell
E_form   0.1774 eV/atom

---

[2]
Below is crystalline Mg2Fe2Ni15 at its relaxed geometry, with properties calculated at the PBE level.

The structure in CIF format:
```
data_Mg2Fe2Ni15
_chemical_formula_sum 'Mg6 Fe6 Ni45'
_symmetry_space_group_name_H-M 'R -3 m'
_symmetry_Int_Tables_number 166
_symmetry_space_group_name_Hall '-R 3 2"'
_cell_length_a 8.1541
_cell_length_b 8.1541
_cell_length_c 12.1120
_cell_angle_alpha 90.00
_cell_angle_beta 90.00
_cell_angle_gamma 120.00
loop_
_atom_site_label
_atom_site_fract_x
_atom_site_fract_y
_atom_site_fract_z
Mg1 0.0000 0.0000 0.1569
Fe1 0.0000 0.0000 0.4042
Ni1 0.0000 0.3032 0.5000
Ni2 0.0000 0.5000 0.0000
Ni3 0.9996 0.4998 0.3458
```

Summary:
E   -5.640 eV per atom
Density of states at the Fermi level   59.2 states/eV/cell
E_form   -0.0170 eV/atom

---

[3]
Below is crystalline Mg2FeNi2 at its relaxed geometry, with properties calculated at the PBE level.

The structure in CIF format:
```
data_Mg2FeNi2
_chemical_formula_sum 'Mg4 Fe2 Ni4'
_symmetry_space_group_name_H-M 'P 4/m b m'
_symmetry_Int_Tables_number 127
_symmetry_space_group_name_Hall '-P 4 2ab'
_cell_length_a 6.0649
_cell_length_b 6.0649
_cell_length_c 4.0165
_cell_angle_alpha 90.00
_cell_angle_beta 90.00
_cell_angle_gamma 90.00
loop_
_atom_site_label
_atom_site_fract_x
_atom_site_fract_y
_atom_site_fract_z
Mg1 0.1744 0.3256 0.0000
Fe1 0.0000 0.0000 0.5000
Ni1 0.1331 0.6331 0.5000
```

Summary:
E   -4.655 eV per atom
Density of states at the Fermi level   8.6 states/eV/cell
E_form   -0.0116 eV/atom

---

[4]
Below is crystalline MgFeNi at its relaxed geometry, with properties calculated at the PBE level.

The structure in CIF format:
```
data_MgFeNi
_chemical_formula_sum 'Mg2 Fe2 Ni2'
_symmetry_space_group_name_H-M 'I 4 m m'
_symmetry_Int_Tables_number 107
_symmetry_space_group_name_Hall 'I 4 -2'
_cell_length_a 2.7644